Data Presentation HFS@home Wednesday 12th February 2014

Data Presentation HFS@home Wednesday 12th February 2014
During this evening we explored the types of data HFS use to track progress and attainment for the children and to benchmark our performance with other
schools. We are very proud of the results we achieve and the teachers and school leadership will be able to share that with you all in appropriate times and
places. Thank you especially to Kate for her tireless work on understanding, sharing and embedding these systems.
All of the acronyms in this were explained on the night so if you have queries please ask those who attended first and if you are still in doubt please ask at
school or pop a note in your child’s bag.
Type of
Internal assessment (half termly)
National (annual)
Local (annual)
Socio-economic and based on past
performance and top 25th percentile
performing schools (annual)
Source of
SIMS (KS1 and 2)
Internal summary reports and
action plans per class
Hertfordshire Improvement Plan
Fischer Family Trust (FFT) – selfevaluation booklet and prediction
SIMS and EAZmag show
attainment based on national
expected levels
Phonics screening
KS1 results (Year 2)
KS2 results (Year 6)
KS1/2 results include reading,
writing, maths and science
Shows % attaining or surpassing
expected level as well as Average
Points Score (APS)
Phonics screening
KS1 results (Year 2)
KS2 results (Year 6)
Shows % at each level/sublevel so
we can compare to local and
national averages
KS1 results (Year 2)
KS2 results (Year 6)
Shows % at each level/sublevel
SIMS and EAZmag show progress
based on national expected levels
Shows progress (expected
progress from KS1 to KS2 is 2
Shows value added (VA) which is
progress made from starting point
Shows progress and Value Added
for KS2
Shows progress and Value Added for
EYFS to KS1 and KS1 to KS2
Discussions are then held between
teacher and Kate to identify areas
FSM Gap Analysis at KS2
Valued Added:
of concern and action plan created
per child to ensure adequate
support and challeng
SIMS can create reports for sub
groups, individuals, subjects etc
Absence and exclusions
Closing the Gaps (FSM and CLA)
FFT Value added and estimates at
KS1 – KS2
Five strongest areas
Five weakest areas
Background information (context)
KS1 estimates- shows Type A, B, D
estimates (we use type D as sets
most challenging targets)
Type A – average (age, gender,
Type B – local (FSM and
Type D – progress of schools in 25th
percentile (high achieving)
Looks in detail at Reading, Writing,
Maths for each sub group
at present
More reports will become available
with more historic data as the
school grows
KS2 data as we don’t have Year 6
children yet
Only takes into account children
we had at end of 2013 and
significant changes since (Year 2
and 3 have approximately doubled)
Types of data from school:
parent evenings (Autumn and spring)
report (summer)
weekly highlights per class in Voice
personal feedback (verbal/ email/ home school link book) should be fortnightly
KS2 data
Only takes into account children
we had at end of 2012/13 and
significant changes since (Year 2
and 3 have approximately doubled)
We can’t access VA information
because we don’t have 3 years data
/*
# CdGaNiMo | OQMD via LeMat-Bulk | PBE-GGA | optimized geometry
# Crystal system = cubic
# Total DFT energy (no corrections) = -76.40 eV per cell
# V = 249 Å³/cell
data_CdGaNiMo
_cell_length_a 6.2906
_cell_length_b 6.2906
_cell_length_c 6.2906
_cell_angle_alpha 90.00
_cell_angle_beta 90.00
_cell_angle_gamma 90.00
_space_group_name_H-M_alt 'F -4 3 m'
_space_group_IT_number 216
_space_group_name_Hall 'F -4 2 3'
loop_
_atom_site_label
_atom_site_type_symbol
_atom_site_fract_x
_atom_site_fract_y
_atom_site_fract_z
Cd1 Cd 0.0000 0.0000 0.0000
Ga1 Ga 0.0000 0.0000 0.5000
Ni1 Ni 0.2500 0.2500 0.7500
Mo1 Mo 0.2500 0.2500 0.2500

----------

No. 1
The following is a PBE-GGA calculation of a relaxed structure of CaPmYHo, from Alexandria.

Cell lengths 8.180, 8.180, 8.180 Å; angles 90.00, 90.00, 90.00 degrees
Space group F-43m (No. 216)
Asymmetric unit:
Ca (0.000, 0.000, 0.000) [4 per cell]
Pm (0.250, 0.250, 0.750) [4 per cell]
Y (0.250, 0.250, 0.250) [4 per cell]
Ho (0.000, 0.000, 0.500) [4 per cell]

Summary:
For the volume, the calculation gives 34.21 Å³/atom. The magnetic moment is 0.000 μB/cell. The density is 5.327 Mg/m³. The energy of formation is 142 meV/atom. For the total energy, the calculation gives -4.307 eV/atom.

=====

No. 2
The following is a PBE-GGA calculation of a relaxed structure of CaPm6YHo2, from Alexandria.

Cell lengths 9.154, 15.480, 9.848 Å; angles 90.00, 98.46, 90.00 degrees
Space group C2/c (No. 15)
Asymmetric unit:
Ca (0.000, 0.098, 0.250) [4 per cell]
Pm (0.060, 0.323, 0.449) [8 per cell]
Pm (0.107, 0.105, 0.623) [8 per cell]
Pm (0.201, 0.270, 0.823) [8 per cell]
Y (0.000, 0.475, 0.750) [4 per cell]
Ho (0.249, 0.448, 0.042) [8 per cell]

Summary:
For the volume, the calculation gives 34.51 Å³/atom. The magnetic moment is 0.000 μB/cell. The density is 6.394 Mg/m³. The energy of formation is 134 meV/atom. For the total energy, the calculation gives -4.478 eV/atom.

=====

No. 3
The following is a PBE-GGA calculation of a relaxed structure of CaPr6Ho2, from Alexandria.

Cell lengths 6.1366, 6.1366, 11.7453 Å; angles 90.00, 90.00, 120.00 degrees
Space group P-31m (No. 162)
Asymmetric unit:
Ca (0.0000, 0.0000, 0.0000) [1 per cell]
Pr (0.0000, 0.3302, 0.2604) [6 per cell]
Ho (0.3333, 0.6667, 0.5000) [2 per cell]

Summary:
For the volume, the calculation gives 42.56 Å³/atom. The magnetic moment is 0.008 μB/cell. The density is 5.269 Mg/m³. The energy of formation is 483 meV/atom. For the total energy, the calculation gives -3.943 eV/atom.

=====

No. 4
The following is a PBE-GGA calculation of a relaxed structure of CaPr5Ho6, from Alexandria.

Cell lengths 11.973, 10.896, 6.295 Å; angles 90.00, 100.05, 90.00 degrees
Space group C2/m (No. 12)
Asymmetric unit:
Ca (0.000, 0.000, 0.000) [2 per cell]
Pr (0.000, 0.169, 0.500) [4 per cell]
Pr (0.000, 0.336, 0.000) [4 per cell]
Pr (0.000, 0.500, 0.500) [2 per cell]
Ho (0.246, 0.331, 0.746) [8 per cell]
Ho (0.248, 0.500, 0.254) [4 per cell]

Summary:
*/
End of the calculated crystals.
Only takes into account children we
had at end of 2012/13 and significant
changes since (Year 2 and 3 have
approximately doubled)
blogs (Chicks, Year 3, Director of Learning and expanding to other years once piloted successfully in these areas)